Documentary History of American Water-works

Introduction Historical Background Chronology Geography Biography Technology Ownership and Financing General Bibliography
Middle Atlantic States Pennsylvania  Pillow

Pillow, Pennsylvania

Pillow in Mifflin Township, Dauphin County, was settled in 1818 and incorporated as a borough in 1864.  It was originally known as Uniontown.

# Crystal structures, kept here for reference
For La7Dy2, the PBE geometry in Alexandria gives the simulated XRD peak list in this record (copper Kα).
Neutral-atom scattering factors, no anomalous dispersion.

Top 6 peaks for 10 to 90 degrees two-theta, sorted by position:
2θ = 29.58°, I = 34; 2θ = 29.70°, I = 100; 2θ = 34.39°, I = 68; 2θ = 49.35°, I = 24; 2θ = 49.51°, I = 24; 2θ = 58.76°, I = 43

Crystal structure
abc: 6.3781 6.3781 9.0593
angles: 90.00 90.00 120.00
Space group P-31m (No. 162)
Asymmetric unit:
La  0.0000  0.0000  0.0000 x1
La  0.0000  0.3336  0.6698 x6
Dy  0.3333  0.6667  0.0000 x2

---

For La5Dy3, the PBE geometry in Alexandria gives the simulated XRD peak list in this record (copper Kα).
Neutral-atom scattering factors, no anomalous dispersion.

Top 6 peaks for 10 to 90 degrees two-theta, sorted by position:
2θ = 29.82°, I = 100; 2θ = 34.25°, I = 35; 2θ = 35.20°, I = 16; 2θ = 49.93°, I = 24; 2θ = 58.61°, I = 30; 2θ = 59.88°, I = 13

Crystal structure
abc: 3.7030 3.7030 20.3960
angles: 90.00 90.00 90.00
Space group P4/mmm (No. 123)
Asymmetric unit:
La  0.0000  0.0000  0.0000 x1
La  0.0000  0.0000  0.2469 x2
La  0.5000  0.5000  0.3759 x2
Dy  0.0000  0.0000  0.5000 x1
Dy  0.5000  0.5000  0.1220 x2

---

For La2Dy, the PBE geometry in Alexandria gives the simulated XRD peak list in this record (copper Kα).
Neutral-atom scattering factors, no anomalous dispersion.

Top 6 peaks for 10 to 90 degrees two-theta, sorted by position:
2θ = 28.83°, I = 27; 2θ = 29.64°, I = 48; 2θ = 30.38°, I = 100; 2θ = 33.53°, I = 68; 2θ = 49.65°, I = 35; 2θ = 58.89°, I = 41

Crystal structure
abc: 3.6725 3.6725 54.2569
angles: 90.00 90.00 120.00
Space group R-3m (No. 166, hexagonal axes)
Asymmetric unit:
La  0.0000  0.0000  0.1381 x6
La  0.0000  0.0000  0.3037 x6
Dy  0.0000  0.0000  0.4169 x6

---

For La5Dy3, the PBE geometry in Alexandria gives the simulated XRD peak list in this record (copper Kα).
Neutral-atom scattering factors, no anomalous dispersion.

Top 6 peaks for 10 to 90 degrees two-theta, sorted by position:
2θ = 29.89°, I = 100; 2θ = 34.43°, I = 34; 2θ = 35.09°, I = 16; 2θ = 49.98°, I = 24; 2θ = 58.89°, I = 29; 2θ = 59.77°, I = 14

Crystal structure
abc: 5.1150 5.2074 10.4246
angles: 90.00 90.00 90.00
Space group Pmmm (No. 47)
Asymmetric unit:
La  0.0000  0.0000  0.0000 x1
La  0.0000  0.0000  0.5000 x1
La  0.0000  0.5000  0.2463 x2
La  0.5000  0.5000  0.5000 x1
Dy  0.5000  0.0000  0.2470 x2
Dy  0.5000  0.5000  0.0000 x1

---

For La5Dy7, the PBE geometry in Alexandria gives the simulated XRD peak list in this record (copper Kα).
Neutral-atom scattering factors, no anomalous dispersion.

Top 6 peaks for 10 to 90 degrees two-theta, sorted by position:
2θ = 29.30°, I = 53; 2θ = 30.49°, I = 41; 2θ = 32.19°, I = 100; 2θ = 36.57°, I = 24; 2θ = 50.08°, I = 21; 2θ = 59.68°, I = 25

Crystal structure
abc: 18.9171 3.6503 13.3312
angles: 90.00 118.41 90.00
Space group C2/m (No. 12)
Asymmetric unit:
La  0.0000  0.0000  0.0000 x2
La  0.1648  0.0000  0.4967 x4
La  0.1937  0.5000  0.7500 x4

The Uniontown Water Company was incorporated in 1851 by Jacon Wiest Sr., John Shott, Peter Bowman, Abraham Bohner, Isaac Mathias, Abraham Harmern, Jacob Hoffman, Daniel Brua, Jonathan Swabe, John R. Riggle and Elijah Byerly "to proceed to bring and convey into the town of Uniontown by means of pipes, trunks, aqueduct, forcing pumps, or other machinery, some spring or stream of water from the neighborhood of said town."  This company built a gravity system that was still serving 275 persons in 1918.

The Pillow Borough Water Authority was formed in 1986  and bought the water system for $40,000. 

Water service is provided by the Pillow Borough Water Authority.

1851 An act to authorize the Governor to incorporate the Uniontown Water Company, in Dauphin county.  April 15, 1851.

1918 "Uniontown Water Company of Dauphin Co.," Water Resources Inventory Report, Pennsylvania Water Supply Commission
Next to Harrisburg, the oldest water supply system in the county; also smallest, and smallest town to receive public supply.
About 275 persons supplied; 71 taps.

1937 "Uniontown Water Co. Elects," Harrisburg Evening News, January 25, 1937, Page 16.

1944 "Real Estate Transfers," Harrisburg Evening News, January 25, 1944, Page 2.
Claude N. Deibler to the Uniontown Water Company, five acres in Mifflin Township.

2002 The History of Pillow, PA and the Surrounding Community, Pillow Historical Society.
Page 24-25:  On June 5, 1851, the Pillow Water Company was formed, 100 shares, worth $10 each, were floated to raise $1000 in capital to start the company. Some of the early pipes were clay, but over the years many different types of materials were used. Initially, a spring on the north side of the Mahantango Mountain supplied the water through a gravity system.  Later, water was piped from the south side of the mountain from a system of springs and later, wells. The first water meters to measure water usage were installed in 1968. Before then, residential rates had been based on the number and type of water outlets: $14 for the first tap; $4 for the first bathtub/shower; $4 for the first commode; $4 for an automatic washing machine; $3 for a dishwasher; $4 for livestock, and so on. Commercial rates varied by business type: for example, it cost $40 for a restaurant; $20 for a beauty shop; $78 for a public garage; $30 for a vault company; $16 for a meat market; and $30 for a photo shop. On July 1, 1986, the Borough bought the Water Company for $40,000. $50,000 was borrowed from the Lykens Miners Bank at 6% interest for 20 years to finance the purchase and the startup of operations. The Pillow Borough Authority was formed to run the water department. The first board was composed of Charles Phillips, Chairman, Tim Shiffer, Vice Chairman, Keith Harner, Treasurer, Bill Judy, Secretary, and Daniel Scheib. Eventually, Mary Schreffler acted as Secretary, although she wasn't a board member.

© 2016 Morris A. Pierce